┌──
Run P
Computed, not measured: YReOs2 at its PBEsol-relaxed geometry at the SCAN level of DFT.

The structure in CIF format:
```
data_YReOs2
_cell_length_a 4.669
_cell_length_b 4.669
_cell_length_c 2.988
_cell_angle_alpha 90.00
_cell_angle_beta 90.00
_cell_angle_gamma 95.20
_space_group_name_H-M_alt 'P 1'
_space_group_IT_number 1
loop_
_space_group_symop_operation_xyz
'x,y,z'
loop_
_atom_site_label
_atom_site_fract_x
_atom_site_fract_y
_atom_site_fract_z
Y1 0.000 0.000 0.000
Re1 0.500 0.500 0.000
Os1 0.000 0.500 0.500
Os2 0.500 0.000 0.500
```

Space-group type: No. 65
Calculated volume, Å³ per cell: 64.9
N(E_F), states/eV per cell: 3.61



Run Q
Computed, not measured: YReOs2 at its PBEsol-relaxed geometry at the SCAN level of DFT.

The structure in CIF format:
```
data_YReOs2
_cell_length_a 2.804
_cell_length_b 3.767
_cell_length_c 6.467
_cell_angle_alpha 90.00
_cell_angle_beta 90.00
_cell_angle_gamma 90.00
_space_group_name_H-M_alt 'P 1'
_space_group_IT_number 1
loop_
_space_group_symop_operation_xyz
'x,y,z'
loop_
_atom_site_label
_atom_site_fract_x
_atom_site_fract_y
_atom_site_fract_z
Y1 0.000 0.000 0.000
Re1 0.500 0.500 0.687
Os1 0.000 0.000 0.494
Os2 0.500 0.500 0.290
```

Space-group type: No. 25
Calculated volume, Å³ per cell: 68.3
N(E_F), states/eV per cell: 4.27



In meV/atom, relative to the most stable structure: run P 0; run Q 37.



Run P
Computed, not measured: Zn2ReOs at its PBEsol-relaxed geometry at the SCAN level of DFT.

The structure in CIF format:
```
data_Zn2ReOs
_cell_length_a 2.800
_cell_length_b 3.678
_cell_length_c 5.449
_cell_angle_alpha 90.00
_cell_angle_beta 90.00
_cell_angle_gamma 90.00
_space_group_name_H-M_alt 'P 1'
_space_group_IT_number 1
loop_
_space_group_symop_operation_xyz
'x,y,z'
loop_
_atom_site_label
_atom_site_fract_x
_atom_site_fract_y
_atom_site_fract_z
Zn1 0.000 0.000 0.000
Zn2 0.500 0.500 0.218
Re1 0.500 0.500 0.714
Os1 0.000 0.000 0.502
```

Space-group type: No. 25
Calculated volume, Å³ per cell: 56.1
N(E_F), states/eV per cell: 1.55



Run Q
Computed, not measured: Zn2ReOs at its PBEsol-relaxed geometry at the SCAN level of DFT.

The structure in CIF format:
```
data_Zn2ReOs
_cell_length_a 4.634
_cell_length_b 4.634
_cell_length_c 4.664
_cell_angle_alpha 100.49
_cell_angle_beta 100.49
_cell_angle_gamma 34.48
_space_group_name_H-M_alt 'P 1'
_space_group_IT_number 1
loop_
_space_group_symop_operation_xyz
'x,y,z'
loop_
_atom_site_label
_atom_site_fract_x
_atom_site_fract_y
_atom_site_fract_z
Zn1 0.249 0.249 0.248
Zn2 0.751 0.751 0.752
Re1 0.000 0.000 0.500
Os1 0.500 0.500 0.000
```

Space-group type: No. 12
Calculated volume, Å³ per cell: 55.7
N(E_F), states/eV per cell: 2.84



Run R
Computed, not measured: Zn2ReOs at its PBEsol-relaxed geometry at the SCAN level of DFT.

The structure in CIF format:
```
data_Zn2ReOs
_cell_length_a 2.849
_cell_length_b 2.849
_cell_length_c 6.843
_cell_angle_alpha 90.00
_cell_angle_beta 90.00
_cell_angle_gamma 90.00
_space_group_name_H-M_alt 'P 1'
_space_group_IT_number 1
loop_
_space_group_symop_operation_xyz
'x,y,z'
loop_
_atom_site_label
_atom_site_fract_x
_atom_site_fract_y
_atom_site_fract_z
Zn1 0.000 0.000 0.000
Zn2 0.500 0.500 0.242
Re1 0.500 0.500 0.737
Os1 0.000 0.000 0.498
```

Space-group type: No. 99
Calculated volume, Å³ per cell: 55.5
N(E_F), states/eV per cell: 1.79



Run S
Computed, not measured: Zn2ReOs at its PBEsol-relaxed geometry at the SCAN level of DFT.

The structure in CIF format:
```
data_Zn2ReOs
_cell_length_a 2.696
_cell_length_b 2.696
_cell_length_c 8.861
_cell_angle_alpha 90.00
_cell_angle_beta 90.00
_cell_angle_gamma 117.22
_space_group_name_H-M_alt 'P 1'
_space_group_IT_number 1
loop_
_space_group_symop_operation_xyz
'x,y,z'
loop_
_atom_site_label
_atom_site_fract_x
_atom_site_fract_y
_atom_site_fract_z
Zn1 0.000 0.000 0.000
Zn2 0.500 0.500 0.246
Re1 0.000 0.000 0.503
Os1 0.500 0.500 0.747
```

Space-group type: No. 35
Calculated volume, Å³ per cell: 57.3
N(E_F), states/eV per cell: 1.67
└──

The reader should set down everything further above without altering anything.

Run P
Computed, not measured: YReOs2 at its PBEsol-relaxed geometry at the SCAN level of DFT.

The structure in CIF format:
```
data_YReOs2
_cell_length_a 4.669
_cell_length_b 4.669
_cell_length_c 2.988
_cell_angle_alpha 90.00
_cell_angle_beta 90.00
_cell_angle_gamma 95.20
_space_group_name_H-M_alt 'P 1'
_space_group_IT_number 1
loop_
_space_group_symop_operation_xyz
'x,y,z'
loop_
_atom_site_label
_atom_site_fract_x
_atom_site_fract_y
_atom_site_fract_z
Y1 0.000 0.000 0.000
Re1 0.500 0.500 0.000
Os1 0.000 0.500 0.500
Os2 0.500 0.000 0.500
```

Space-group type: No. 65
Calculated volume, Å³ per cell: 64.9
N(E_F), states/eV per cell: 3.61



Run Q
Computed, not measured: YReOs2 at its PBEsol-relaxed geometry at the SCAN level of DFT.

The structure in CIF format:
```
data_YReOs2
_cell_length_a 2.804
_cell_length_b 3.767
_cell_length_c 6.467
_cell_angle_alpha 90.00
_cell_angle_beta 90.00
_cell_angle_gamma 90.00
_space_group_name_H-M_alt 'P 1'
_space_group_IT_number 1
loop_
_space_group_symop_operation_xyz
'x,y,z'
loop_
_atom_site_label
_atom_site_fract_x
_atom_site_fract_y
_atom_site_fract_z
Y1 0.000 0.000 0.000
Re1 0.500 0.500 0.687
Os1 0.000 0.000 0.494
Os2 0.500 0.500 0.290
```

Space-group type: No. 25
Calculated volume, Å³ per cell: 68.3
N(E_F), states/eV per cell: 4.27



In meV/atom, relative to the most stable structure: run P 0; run Q 37.



Run P
Computed, not measured: Zn2ReOs at its PBEsol-relaxed geometry at the SCAN level of DFT.

The structure in CIF format:
```
data_Zn2ReOs
_cell_length_a 2.800
_cell_length_b 3.678
_cell_length_c 5.449
_cell_angle_alpha 90.00
_cell_angle_beta 90.00
_cell_angle_gamma 90.00
_space_group_name_H-M_alt 'P 1'
_space_group_IT_number 1
loop_
_space_group_symop_operation_xyz
'x,y,z'
loop_
_atom_site_label
_atom_site_fract_x
_atom_site_fract_y
_atom_site_fract_z
Zn1 0.000 0.000 0.000
Zn2 0.500 0.500 0.218
Re1 0.500 0.500 0.714
Os1 0.000 0.000 0.502
```

Space-group type: No. 25
Calculated volume, Å³ per cell: 56.1
N(E_F), states/eV per cell: 1.55



Run Q
Computed, not measured: Zn2ReOs at its PBEsol-relaxed geometry at the SCAN level of DFT.

The structure in CIF format:
```
data_Zn2ReOs
_cell_length_a 4.634
_cell_length_b 4.634
_cell_length_c 4.664
_cell_angle_alpha 100.49
_cell_angle_beta 100.49
_cell_angle_gamma 34.48
_space_group_name_H-M_alt 'P 1'
_space_group_IT_number 1
loop_
_space_group_symop_operation_xyz
'x,y,z'
loop_
_atom_site_label
_atom_site_fract_x
_atom_site_fract_y
_atom_site_fract_z
Zn1 0.249 0.249 0.248
Zn2 0.751 0.751 0.752
Re1 0.000 0.000 0.500
Os1 0.500 0.500 0.000
```

Space-group type: No. 12
Calculated volume, Å³ per cell: 55.7
N(E_F), states/eV per cell: 2.84



Run R
Computed, not measured: Zn2ReOs at its PBEsol-relaxed geometry at the SCAN level of DFT.

The structure in CIF format:
```
data_Zn2ReOs
_cell_length_a 2.849
_cell_length_b 2.849
_cell_length_c 6.843
_cell_angle_alpha 90.00
_cell_angle_beta 90.00
_cell_angle_gamma 90.00
_space_group_name_H-M_alt 'P 1'
_space_group_IT_number 1
loop_
_space_group_symop_operation_xyz
'x,y,z'
loop_
_atom_site_label
_atom_site_fract_x
_atom_site_fract_y
_atom_site_fract_z
Zn1 0.000 0.000 0.000
Zn2 0.500 0.500 0.242
Re1 0.500 0.500 0.737
Os1 0.000 0.000 0.498
```

Space-group type: No. 99
Calculated volume, Å³ per cell: 55.5
N(E_F), states/eV per cell: 1.79



Run S
Computed, not measured: Zn2ReOs at its PBEsol-relaxed geometry at the SCAN level of DFT.

The structure in CIF format:
```
data_Zn2ReOs
_cell_length_a 2.696
_cell_length_b 2.696
_cell_length_c 8.861
_cell_angle_alpha 90.00
_cell_angle_beta 90.00
_cell_angle_gamma 117.22
_space_group_name_H-M_alt 'P 1'
_space_group_IT_number 1
loop_
_space_group_symop_operation_xyz
'x,y,z'
loop_
_atom_site_label
_atom_site_fract_x
_atom_site_fract_y
_atom_site_fract_z
Zn1 0.000 0.000 0.000
Zn2 0.500 0.500 0.246
Re1 0.000 0.000 0.503
Os1 0.500 0.500 0.747
```

Space-group type: No. 35
Calculated volume, Å³ per cell: 57.3
N(E_F), states/eV per cell: 1.67